End of the Week Update

Hi hi – good weekend I’m sure.

Nothing earth shaking to report, quiet day today, slept in.  Errands, a little work, and did a cheap wardrobe refresh with some $10 dresses from Sirens. One of them is even not black.  Oh and I had the battery replaced in my car’s key fob, and the guy who did it had 2 thumbs woah.

kk here’s some photos from the week, talk to you Monday.


My old Canadian Explorer pin! It was on my friend’s bag when we met for dinner.

Molecular formula: C38H31N2P2PdS
Method: DFT, the ωB97M-V functional and the def2-TZVPD basis

Element x y z (Å)
Pd1 -0.47404 -1.09734 0.02472
C1 -0.47879 3.07848 0.04071
N1 -0.04457 1.76722 -0.42625
P1 -0.84158 0.78949 -1.61990
C2 -1.12025 2.12434 -2.86099
C3 -0.14029 2.27247 -3.83866
C4 -0.15876 3.35319 -4.70246
C5 -1.15701 4.30796 -4.59414
C6 -2.17310 4.13287 -3.66965
C7 -2.16943 3.03879 -2.82061
C8 -2.55952 0.26095 -1.16768
C9 -2.75234 -1.11495 -1.41441
C10 -3.98697 -1.70652 -1.19982
C11 -5.04563 -0.93596 -0.74249
C12 -4.85717 0.40759 -0.46777
C13 -3.62003 1.00497 -0.66233
P2 0.96355 0.79175 0.57691
C14 2.20907 1.93948 1.28518
C15 2.80884 2.96167 0.55904
C16 3.84795 3.67820 1.12494
C17 4.29608 3.38136 2.40219
C18 3.70040 2.36116 3.12382
C19 2.66012 1.63956 2.56544
C20 2.02909 -0.02676 -0.67767
C21 2.43269 -1.33944 -0.42211
C22 3.24613 -2.00116 -1.33177
C23 3.65101 -1.36253 -2.49198
C24 3.25118 -0.05875 -2.74414
C25 2.44344 0.60861 -1.84305
H1 -1.40303 3.36289 -0.45758
H2 0.27157 3.84076 -0.17993
H3 -0.64929 3.07022 1.12054
H4 0.62940 1.51889 -3.92348
H5 0.60914 3.45482 -5.45375
H6 -1.15654 5.17339 -5.23883
H7 -2.97258 4.85628 -3.60397
H8 -2.99925 2.90283 -2.14656
H9 -1.94165 -1.70284 -1.87710
H10 -4.13081 -2.76111 -1.38953
H11 -6.01692 -1.38446 -0.59682
H12 -5.68458 1.00130 -0.10949
H13 -3.49309 2.04527 -0.40219
H14 2.48220 3.19631 -0.44178
H15 4.32029 4.47209 0.56788
H16 5.11082 3.94236 2.83460
H17 4.04588 2.12933 4.11916
H18 2.19025 0.83427 3.11329
H19 2.16604 -1.80850 0.52673
H20 3.57055 -3.01213 -1.13237
H21 4.28484 -1.87878 -3.19668
H22 3.57557 0.43982 -3.64480
H23 2.12708 1.62178 -2.04333
S1 -0.38782 -4.10087 3.56575
C26 0.71831 -4.80507 2.42493
C27 1.56399 -5.88914 2.59427
C28 2.36103 -6.25959 1.53033
C29 2.27235 -5.59611 0.30733
C30 1.42064 -4.52903 0.12572
C31 0.65478 -4.09811 1.20728
N2 -0.20554 -3.03506 1.22412
C32 -0.82236 -2.91379 2.37007
C33 -1.71099 -1.81639 2.66416
C34 -2.53138 -1.81229 3.79610
C35 -3.26186 -0.68473 4.10967
C36 -3.17692 0.44291 3.30794
C37 -2.39077 0.42956 2.16087
C38 -1.68030 -0.70147 1.81675
H24 1.58741 -6.43321 3.52309
H25 3.04904 -7.08179 1.64693
H26 2.87724 -5.93731 -0.51697
H27 1.32860 -4.02159 -0.82650
H28 -2.59396 -2.69844 4.41396
H29 -3.88146 -0.67993 4.99306
H30 -3.73568 1.33021 3.56453
H31 -2.35028 1.31976 1.54760

Summary:
* multiplicity: 3
* HOMO level (spin up / spin down): -10.05 / -10.84 eV
* total energy: -2784.6982 Eh
* total charge: +1
* <S²>: 2.02

Molecular formula: C5H30NO11
Method: DFT, the ωB97M-V functional and the def2-TZVPD basis

Element x y z (Å)
C1 2.25990 -1.41456 0.52041
C2 1.11352 -0.52612 0.01654
C3 -0.36850 -1.20938 0.40077
C4 -0.86472 -1.99649 -0.76942
O1 -2.25354 -1.67429 -0.97921
N1 1.21368 0.82903 0.65711
C5 2.14896 1.74034 -0.05531
O2 1.70781 1.99005 -1.34641
H1 2.14482 -2.40118 0.02835
H2 3.19713 -0.98641 0.25557
H3 2.19313 -1.49963 1.63742
H4 1.11752 -0.50081 -1.06714
H5 -0.19978 -1.86285 1.24960
H6 -1.22675 -0.46700 0.66471
H7 -1.05547 -3.14394 -0.57562

fake nice day.

It was at Canadian Tire’s spring media preview.

Jumped on their trampoline.

This is actually the Sound Academy.  The Docks.

My review of Chrysler’s 300 comes out next week.

Short review: big fan. Called it stately.

It rained shoes this week. A gift of fur-lined socks for my Hunters; winter footwear expanded ty k xo

Yesterday, I hit send on my last work email, 9:30, sat down to eat.

Cheers’d you.

Then went to blog, and couldn’t.

My first data block.

However, how this affects this Mon-Fri test I’m doing: my record is still stainless.  Bottom right is proof I made the deadline technically.

The problem was the data block from my service provider, which is interesting enough for its own post, coming Monday.



Wednesday blog technicality

Mega meh post, but at least now I still haven’t missed a day. I have 2 newspaper deadlines tomorrow, a grand finale moment is happening Saturday at the other job, and what is hogging all the memory on my laptop?

We’re going to a Canadian Tire event tomorrow where there’ll be a trampoline, and wrote the news on Autonet today, about VW’s Super Bowl teaser ad, which is well done. Monday’s news on “Charging Rage” did ok, Autonet.ca.

kk night TTYT

This week’s column.


New shoes arrived today.


New favourites.


Night from my disembodied head.


So I Blinked and Today Vanished

And I didn’t even swap cars today!  Woah this Monday. This 3 job thing is something.  It only works because they’re all in the same industry – automotive.  Which, I’m officially at 1.5 years of auto journalism now tada :)  No better industry to have landed in, I’m lucky.

This daily blogging thing, a pattern is emerging: night blogger.  Seems logical… do a very solo task at night, not during the day, that’s for talking and deadlines.  Gonna run with that this week: KB.com – updated daily M-F, in one chunk, at night.

This week’s car is my Jetta, Wednesday’s column is “About Funeral Processions”, and my Chrysler 300 review is out soon. Called it “stately”, as a compliment.

kk I have to get footage to my editor, I’ll finish the security and other posts tomorrow, because I blinked again, now it’s 9:17, and I forgot to eat xo TTYT

A few photos from recently.

Jetta milestone. That’s in miles, too.  284,000 km.

Blonde by Niki. Ask for “Illusion Head“.

Go too: 416-301-1072 Brennen Demelo Studio

## Inserted here: molecular data
=====
1.
Here is a structure of composition C26H46BeBrCl5F10LiNaO16P2S in a non-equilibrium geometry from the OMol25 dataset. Energies are from wB97M-V/def2-TZVPD.

Last column: Löwdin charge in e.
Cartesian coordinates (Å):
C -7.04 3.25 -0.14  -0.4255
Cl 3.13 -2.49 10.37  0.5154
F -4.85 4.24 -2.22  0.1420
C 1.80 2.74 -7.20  -0.1201
F -3.43 5.61 -1.32  0.1384
O 5.34 -6.97 0.06  -0.4072
C -0.71 0.00 -1.82  -0.1563
H 5.74 -0.22 5.98  -0.1416
H -0.50 2.52 -2.40  0.1186
O -4.94 4.64 0.00  0.0190
H -7.20 2.04 -1.94  0.1829
H 1.51 1.00 2.24  0.1221
F -7.46 2.20 0.64  0.1194
H -1.76 3.13 -1.13  0.1082
H 0.56 -0.27 5.06  0.0613
H -5.10 -1.94 4.58  0.0190
C -4.73 5.21 -1.29  -0.4819
P 3.20 -3.05 -2.20  0.5457
C -5.64 6.42 -1.57  -0.2760
O 4.44 1.42 -6.08  -0.2822
H -1.08 -2.16 4.52  0.1271
H -0.99 -4.83 3.52  0.1344
H 0.43 4.08 -0.42  0.0730
O 4.32 -9.01 -0.57  -0.3896
C 3.87 -0.11 3.38  -0.1040
H -1.55 -0.82 -2.00  0.1408
H 4.81 -1.40 -2.02  0.0976
O 3.91 -1.44 -2.48  -0.3179
H -0.45 0.40 -2.92  0.1305
C -1.81 -2.14 0.54  -0.1874
F -8.90 3.00 -1.58  0.0989
H -5.40 7.26 -0.91  0.1109
F -7.59 4.36 0.41  0.1103
Cl 4.40 -1.29 8.04  0.5431
H -4.99 2.66 -0.68  0.1562
C -7.54 3.01 -1.56  -0.2821
C -0.25 -2.04 1.13  -0.2464
H 2.22 -0.41 1.22  0.0731
H -2.22 -4.32 2.20  0.1428
O -3.12 -2.07 3.61  -0.2299
H 0.37 -4.32 1.50  0.1266
Na 1.66 2.17 -9.57  0.8497
F -7.15 3.97 -2.42  0.0811
O 6.04 0.21 5.20  -0.2030
H 2.40 -0.32 5.74  0.0406
H 4.63 -0.68 4.06  0.0679
S 3.45 0.69 -5.30  0.6329
O 2.27 -3.51 -3.40  -0.3785
O 3.10 1.09 -3.96  -0.2840
H 5.06 -3.73 -1.20  0.0844
H -5.27 2.94 1.00  0.1615
C 0.34 2.93 -0.26  -0.1034
P 2.20 -2.98 -0.27  0.9156
Cl 2.70 0.33 9.77  0.5082
C 1.69 -0.02 4.86  -0.1112
H 2.06 2.32 -8.18  -0.0201
F -0.57 -3.17 -2.55  -0.0642
H 4.21 -0.32 2.26  0.0810
H 1.15 0.28 -0.55  0.1030
O -2.83 -1.29 0.69  0.0301
H -0.50 -0.66 3.06  0.1058
C -0.04 -3.36 2.08  -0.1420
Cl 4.46 -7.61 -0.90  0.6138
O 2.10 0.54 -6.19  -0.2635
H -2.31 -3.53 4.94  0.1333
H 2.45 -1.88 3.57  0.1260
O -1.71 -3.40 -0.26  -0.0222
C -3.96 -1.65 4.75  -0.3257
H 4.89 -1.10 -4.80  0.0803
H 1.08 3.55 -7.35  0.0996
C -1.36 -3.88 2.90  -0.1346
C 3.92 -1.02 -5.29  -0.1225
O 5.02 -7.48 -2.23  -0.3944
C 1.23 1.66 -6.29  -0.2550
Be 3.74 6.92 -7.07  0.3069
C 2.31 -0.72 3.50  -0.3614
O 4.61 -4.11 -2.03  -0.2278
F -5.52 6.84 -2.85  0.1275
H 0.28 1.30 -6.72  0.1204
H 1.83 1.15 4.71  0.0946
H 1.40 -0.80 -2.07  0.1084
C -0.02 -0.67 2.00  -0.1069
H -0.57 0.20 1.38  0.1156
C 0.66 -0.60 -1.15  -0.1122
H 3.14 -2.28 0.61  -0.0509
H -3.58 -1.98 5.80  -0.0486
H 3.17 -1.59 -4.74  0.0399
H 1.00 2.06 -5.30  0.1214
F -6.95 6.12 -1.38  0.1020
Br -5.37 -2.59 6.70  0.1842
C -5.51 3.33 0.01  -0.0385
O -1.35 1.04 -0.97  -0.2311
H 0.79 -3.10 2.88  0.1146
Li -5.28 8.19 0.86  0.9405
H 1.40 2.46 -0.54  0.0887
C -0.84 2.38 -1.28  -0.2510
C 1.54 -0.19 2.16  -0.1931
C 2.94 -1.29 9.06  -2.0036
H 4.00 -1.37 -6.32  0.0788
H -3.94 -0.45 4.75  0.1268
O 3.16 -6.97 -0.86  -0.4157
H 2.71 3.17 -6.78  0.0448
=====

Sooo, once you buy 1 pair of shoes online, and this vortex opens up, and sucks you into more shoes huh…

Discovered Heels.com. Ordered at 2am, and by 10:30 they’d been shipped. That’s good and bad eh.

But last ones in my size, an impossible size.

This hat! Forever this hat.

Canada Goose gave me the hat, for when I covered the Olympics in video in 2010. OMG that felt so weird to type. 4 years ago now, exactly.

Went buying on the weekend, at Vaughn Mills Outlets.  That place has been my go-to mall for years.  Like, $250 reduced to a sensible $50, in & out in 45 minutes.

2 new black skirts = 2 new bases

One work, one fun, both with sneaker heels, done.

And always more jumpsuits.

## Next to the text, the page also holds molecular data
Molecular formula: C5H8N2
Method: DFT, wB97M-V/def2-TZVPD

Output
Energy above the lowest of the compared OMol25 structures with the same formula, charge and spin, eV: 5.8666
HOMO level (spin up / spin down), eV: -7.9 / -7.9

Each line ends with the Mulliken charge.
Atoms and positions in Å:
C1 -2.0696 0.1423 -0.0059  -1.19
C2 -1.0472 -0.3963 -0.9830  0.50
C3 0.2727 0.2371 -1.2923  -0.12
C4 0.8882 1.0728 -0.3011  0.12
N1 1.6145 1.3363 0.6178  -0.51
N2 0.1515 -1.0286 -0.5911  -0.74
C5 2.0095 -0.2135 1.3936  -0.58
H1 -1.6161 0.7896 0.7518  0.33
H2 -2.8426 0.7091 -0.5357  0.30
H3 -2.5557 -0.6938 0.5097  0.25
H4 -1.4943 -0.8117 -1.8955  0.34
H5 0.6900 0.3123 -2.2918  0.35
H6 1.4122 -0.8269 0.7213  0.42
H7 3.0029 -0.6899 1.5585  0.27
H8 1.5841 0.0614 2.3437  0.25


Molecular formula: C5H8N2
Method: DFT, wB97M-V/def2-TZVPD

Output
Energy above the lowest of the compared OMol25 structures with the same formula, charge and spin, eV: 5.0285
HOMO level (spin up / spin down), eV: -6.6 / -5.8

Each line ends with the Mulliken charge.
Atoms and positions in Å:
C1 -2.4390 -0.2079 -0.3975  -0.82
N1 -1.0839 0.0663 0.0226  0.56
C2 -0.0038 -0.7418 -0.1154  -0.63
C3 1.1805 0.0134 0.2539  0.68
C4 2.5211 -0.4224 0.5429  -1.11
C5 0.5474 1.3221 0.5552  -0.37
N2 -0.7465 1.3159 0.3989  -0.82
H1 -2.5788 -0.0072 -1.4656  0.31
H2 -3.1042 0.4339 0.1817  0.29
H3 -2.6750 -1.2547 -0.1904  0.30
H4 -0.0812 -1.7572 -0.4768  0.43
H5 1.3025 0.0924 -0.8929  0.24
H6 2.8076 -1.4136 0.2048  0.26
H7 3.2933 0.3393 0.5072  0.24
H8 1.0600 2.2214 0.8715  0.43


Molecular formula: C5H8N2
Method: DFT, wB97M-V/def2-TZVPD

Output
Energy above the lowest of the compared OMol25 structures with the same formula, charge and spin, eV: 2.2024
Total charge: +2
HOMO level, eV: -19.9

Each line ends with the Mulliken charge.
Atoms and positions in Å:
C1 -1.2664 0.1800 0.9253  -0.22
C2 -1.8470 0.1992 -0.1366  -0.02
C3 -2.3716 0.1101 -1.3708  0.28
C4 2.5136 0.0071 1.6062  0.31
C5 -1.6587 -0.2280 -2.5188  -0.92
N1 1.4961 -0.1642 1.0701  0.05
N2 3.5768 0.2588 2.2703  -0.41
H1 -1.2409 0.1896 1.9734  0.49
H2 -3.5032 0.1011 -1.3322  0.36
H3 0.8657 -0.6545 0.5307  0.28
H4 -1.8255 -1.4261 -2.7143  0.35
H5 -0.5078 0.0427 -2.4157  0.32
H6 -1.9546 0.3169 -3.3942  0.39
H7 4.0185 1.2548 2.2974  0.37
H8 3.7051 -0.1877 3.2094  0.35


Molecular formula: C5H8N2O
Method: DFT, wB97M-V/def2-TZVPD

Output
Energy above the lowest of the compared OMol25 structures with the same formula, charge and spin, eV: 3.6991
Structure (SMILES): OCCc1cn[nH]c1
HOMO level, eV: -9.2

Each line ends with the Mulliken charge.
Atoms and positions in Å:
C1 -1.8769 0.3625 -0.4168  -0.51
C2 -0.7792 0.5609 0.6297  -0.47
C3 0.5481 0.1663 0.2770  0.53
C4 1.5644 0.9712 -0.3808  -0.10
C5 1.1253 -0.9884 0.3214  -0.73
H1 -2.7913 -1.3930 0.0814  0.35
H2 -1.3030 0.8307 -1.4507  0.24
H3 -2.7747 0.9287 -0.1355  0.30
H4 -0.7515 1.6185 1.1326  0.30
H5 -1.1960 -0.0764 1.6315  0.22
H6 1.3970 2.1752 -0.6488  0.25
H7 3.1531 -1.7394 -0.3014  0.30



I am There on the Arm


I finally got home from my day, 7:45 jogging pants on, then I was that ball for a bit. By the time Friday arrives, I’m over-stimulated. Hi from the couch, and, for the first time I’m blogging from my phone. Not opening my laptop till tomorrow.

Great week, even got a nice high note ending, and mostly I have nothing to say so am babbling, but I said I’d update Monday – Friday, so that’s what’s really happening here. Fridays must be better planned; I think I did as weak a post last week.

kk shhh ahhhh quiet time now. To daydream.

Have a great weekend, and TTY here on Monday, and Twitter / FB until then. Yup, look at me opening up xo Keri

It’s Thursday Night, Have a Good One

Big-night-out-city-girl here.

After I publish this, it’s onto the last draft of next week’s column, “About Funeral Processions“. Earlier this week, I spent an afternoon chatting with funeral directors, they were a surprisingly funny bunch.

This happened today – the paper added a new section to our website, Autonet.ca.

Bottom right.

“Featured Author”, and a link to my latest article, permenently above the fold, nice.

Tomorrow will conclude the first 2 weeks working at my new job. Think I’ll be ready to blog all about it by end-of-the-month.

Because blogging something, it’s like, it makes it official.  It’s hard to explain, I’ll add it to the videos-to-make list. Basically though, the message is, “the internet keeps you accountable“.

I am loving it, to be clear.

It shows in my desk dancing.

desk dancing

I hope you desk dance, too.

Dismantled the ‘sticky note epiphany‘ wall.

Documented them all, here are some.

Clockwise from top left:

  • based on last year’s study of time to successfully execute a new years resolution, it’s best to start a month early, and have a semi-rhythm happening by the end of the year
  • “insurance is the cause of so much dumbness”.  Insurance sucks the fun away
  • “put blog in music”. Might do a security post about that. It’s part of my never-ending quest to avoid the cloud.

Found this shot of me driving Nissan’s Hybrid Pathfinder, when I blogged the Nashville story yesterday.

Nice change from the grainy selfless I usually post, eh.

So grainy. Like I blogged before, I still wonder if these phone camera lenses have built-in degradation.

Counter-argument is I probably take way more photos per day, than the average user. And like, imagine the wear & tear from one car show…

Hope it’s a good Thursday Night, best night of the week.

kk I have to go write, I’ll cheers you TTYT